**Work order:**
Your job: retype the rows below verbatim.
**Data:**
........
[1]
Formula: C4H6N4O3S
Source: the Open Molecules 2025 dataset
Level of theory: ωB97M-V/def2-TZVPD

The value obtained for the LUMO energy is 0.5 eV. For the energy relative to the best compared isomer or geometry (same formula, charge and spin), the calculation gives 1088.76 kJ/mol. The largest force on an atom is 0.077 Eh/bohr. For the HOMO energy, the calculation gives -8.156 eV. The total energy comes out at -27172.912 eV. For the gap between HOMO and LUMO, the calculation gives 8.65 eV. Its multiplicity is 1.

Each line ends with the natural charge from an NBO analysis.
Positions of all 18 atoms, in Å:
N  0.737  -0.652  2.180  -0.484
O  -0.883  -2.093  0.889  -0.958
O  1.101  -1.227  -2.643  -0.351
H  -1.354  -0.163  -0.633  0.266
C  -0.251  -0.954  -2.536  0.081
S  0.532  -1.782  0.796  1.495
H  -0.655  -1.013  -3.550  0.237
N  0.644  -0.592  -0.480  -0.497
H  -1.111  2.417  2.336  0.240
H  -1.106  -1.342  2.312  0.376
H  1.437  1.624  1.060  0.244
N  -0.536  -0.687  2.845  -0.206
C  0.615  1.183  1.667  -0.132
O  -1.160  0.555  2.931  -0.336
C  -0.566  -0.566  -1.302  -0.162
N  1.698  -0.904  -1.402  -0.203
C  -0.509  1.500  2.232  0.036
H  2.363  -0.204  -1.468  0.352

=====

[2]
Formula: C4H6N4O4
Source: the Open Molecules 2025 dataset
Level of theory: ωB97M-V/def2-TZVPD

The value obtained for the LUMO energy is -0.2 eV. For the energy relative to the best compared isomer or geometry (same formula, charge and spin), the calculation gives 598.32 kJ/mol. The largest force on an atom is 0.088 Eh/bohr. For the HOMO energy, the calculation gives -9.404 eV. The total energy comes out at -18391.052 eV. For the gap between HOMO and LUMO, the calculation gives 9.19 eV. Its multiplicity is 1. As for the structure (SMILES): NC(=O)[C@H]1N=NC[C@]1(O)[N+](=O)[O-].

Each line ends with the natural charge from an NBO analysis.
Positions of all 18 atoms, in Å:
C  0.640  -0.492  0.286  -0.264
C  0.478  0.257  1.695  0.681
N  1.391  1.196  1.877  -0.812
O  -0.021  -1.372  -2.411  -0.336
O  -0.602  1.524  -0.645  -0.697
C  -0.438  0.181  -0.686  0.333
O  0.570  0.714  -2.741  -0.407
N  0.142  -1.855  0.580  -0.090
N  -0.977  -2.033  0.222  -0.073
N  0.086  -0.217  -2.103  0.523
H  2.422  0.990  1.628  0.406
O  -0.542  0.133  2.310  -0.585
H  -2.201  -0.363  0.355  0.257
C  -1.568  -0.855  -0.345  -0.337
H  1.265  1.798  2.697  0.408
H  -2.198  -1.073  -1.334  0.236
H  1.778  -0.523  0.053  0.232
H  -0.225  1.991  -1.439  0.524

=====

[3]
Formula: C4H6N6
Source: the Open Molecules 2025 dataset
Level of theory: ωB97M-V/def2-TZVPD

The value obtained for the LUMO energy (alpha / beta) is 0.6 / -5.1 eV. For the energy relative to the best compared isomer or geometry (same formula, charge and spin), the calculation gives 106.12 kJ/mol. The largest force on an atom is 0.108 Eh/bohr. For the HOMO energy (alpha / beta), the calculation gives -5.969 / -10.184 eV. The total energy comes out at -13178.073 eV. For the gap between HOMO and LUMO (alpha / beta), the calculation gives 6.56 / 5.09 eV. Its multiplicity is 3. As for the expectation value of S²: 2.01.

Each line ends with the Löwdin spin population.
Positions of all 16 atoms, in Å:
N  3.367  -1.175  -1.623  0.045
C  0.880  -0.178  0.132  0.527
N  -1.456  0.886  1.524  0.300
H  1.085  0.953  -1.505  0.002
C  1.025  -0.102  -1.274  0.083
H  0.304  -0.639  -1.746  0.018
C  2.301  -0.796  -1.449  0.029
N  -1.442  0.563  0.245  0.098
N  -2.558  1.434  1.855  0.095
C  -2.631  0.972  -0.229  0.287
H  -2.856  0.986  -1.243  0.012
N  -3.326  1.593  0.775  0.207
H  0.674  -1.116  0.598  0.021
H  1.695  1.600  0.570  0.014
N  1.133  0.869  0.945  0.256
H  0.653  0.922  1.920  0.007

=====

[4]
Formula: C4H6NO
Source: the Open Molecules 2025 dataset
Level of theory: ωB97M-V/def2-TZVPD
........
**Solution:**
[1]
Formula: C4H6N4O3S
Source: the Open Molecules 2025 dataset
Level of theory: ωB97M-V/def2-TZVPD

The value obtained for the LUMO energy is 0.5 eV. For the energy relative to the best compared isomer or geometry (same formula, charge and spin), the calculation gives 1088.76 kJ/mol. The largest force on an atom is 0.077 Eh/bohr. For the HOMO energy, the calculation gives -8.156 eV. The total energy comes out at -27172.912 eV. For the gap between HOMO and LUMO, the calculation gives 8.65 eV. Its multiplicity is 1.

Each line ends with the natural charge from an NBO analysis.
Positions of all 18 atoms, in Å:
N  0.737  -0.652  2.180  -0.484
O  -0.883  -2.093  0.889  -0.958
O  1.101  -1.227  -2.643  -0.351
H  -1.354  -0.163  -0.633  0.266
C  -0.251  -0.954  -2.536  0.081
S  0.532  -1.782  0.796  1.495
H  -0.655  -1.013  -3.550  0.237
N  0.644  -0.592  -0.480  -0.497
H  -1.111  2.417  2.336  0.240
H  -1.106  -1.342  2.312  0.376
H  1.437  1.624  1.060  0.244
N  -0.536  -0.687  2.845  -0.206
C  0.615  1.183  1.667  -0.132
O  -1.160  0.555  2.931  -0.336
C  -0.566  -0.566  -1.302  -0.162
N  1.698  -0.904  -1.402  -0.203
C  -0.509  1.500  2.232  0.036
H  2.363  -0.204  -1.468  0.352

=====

[2]
Formula: C4H6N4O4
Source: the Open Molecules 2025 dataset
Level of theory: ωB97M-V/def2-TZVPD

The value obtained for the LUMO energy is -0.2 eV. For the energy relative to the best compared isomer or geometry (same formula, charge and spin), the calculation gives 598.32 kJ/mol. The largest force on an atom is 0.088 Eh/bohr. For the HOMO energy, the calculation gives -9.404 eV. The total energy comes out at -18391.052 eV. For the gap between HOMO and LUMO, the calculation gives 9.19 eV. Its multiplicity is 1. As for the structure (SMILES): NC(=O)[C@H]1N=NC[C@]1(O)[N+](=O)[O-].

Each line ends with the natural charge from an NBO analysis.
Positions of all 18 atoms, in Å:
C  0.640  -0.492  0.286  -0.264
C  0.478  0.257  1.695  0.681
N  1.391  1.196  1.877  -0.812
O  -0.021  -1.372  -2.411  -0.336
O  -0.602  1.524  -0.645  -0.697
C  -0.438  0.181  -0.686  0.333
O  0.570  0.714  -2.741  -0.407
N  0.142  -1.855  0.580  -0.090
N  -0.977  -2.033  0.222  -0.073
N  0.086  -0.217  -2.103  0.523
H  2.422  0.990  1.628  0.406
O  -0.542  0.133  2.310  -0.585
H  -2.201  -0.363  0.355  0.257
C  -1.568  -0.855  -0.345  -0.337
H  1.265  1.798  2.697  0.408
H  -2.198  -1.073  -1.334  0.236
H  1.778  -0.523  0.053  0.232
H  -0.225  1.991  -1.439  0.524

=====

[3]
Formula: C4H6N6
Source: the Open Molecules 2025 dataset
Level of theory: ωB97M-V/def2-TZVPD

The value obtained for the LUMO energy (alpha / beta) is 0.6 / -5.1 eV. For the energy relative to the best compared isomer or geometry (same formula, charge and spin), the calculation gives 106.12 kJ/mol. The largest force on an atom is 0.108 Eh/bohr. For the HOMO energy (alpha / beta), the calculation gives -5.969 / -10.184 eV. The total energy comes out at -13178.073 eV. For the gap between HOMO and LUMO (alpha / beta), the calculation gives 6.56 / 5.09 eV. Its multiplicity is 3. As for the expectation value of S²: 2.01.

Each line ends with the Löwdin spin population.
Positions of all 16 atoms, in Å:
N  3.367  -1.175  -1.623  0.045
C  0.880  -0.178  0.132  0.527
N  -1.456  0.886  1.524  0.300
H  1.085  0.953  -1.505  0.002
C  1.025  -0.102  -1.274  0.083
H  0.304  -0.639  -1.746  0.018
C  2.301  -0.796  -1.449  0.029
N  -1.442  0.563  0.245  0.098
N  -2.558  1.434  1.855  0.095
C  -2.631  0.972  -0.229  0.287
H  -2.856  0.986  -1.243  0.012
N  -3.326  1.593  0.775  0.207
H  0.674  -1.116  0.598  0.021
H  1.695  1.600  0.570  0.014
N  1.133  0.869  0.945  0.256
H  0.653  0.922  1.920  0.007

=====

[4]
Formula: C4H6NO
Source: the Open Molecules 2025 dataset
Level of theory: ωB97M-V/def2-TZVPD